How to deal with people with bipolar disorder

Author: Bobbie Johnson
Date Of Creation: 9 April 2021
Update Date: 1 July 2024
Living with Bipolar Disorder
Video: Living with Bipolar Disorder


Bipolar disorder is a severe mental illness that confuses others. Today, a person with bipolar disorder may be so depressed that they will not get out of bed all day, and tomorrow they will become an energetic optimist who is unrecognizable.If you know someone with bipolar disorder, try to learn the support and encouragement techniques that will help the person bounce back. At the same time, it is important not to forget about the limits of your capabilities and immediately seek medical help in case of aggressive or suicidal behavior of a person.


Method 1 of 3: How to help someone with bipolar disorder

## Someone pasted records of crystals at this point
┌──
ThScBiSb after structural relaxation, computed with PBE.

Lattice parameters (Å, degrees): 5.2764 5.2764 32.9829 90.00 90.00 120.00
Space group R-3m (No. 166, hexagonal axes)
Unique sites:
1 Th 0.0000 0.0000 0.1109 (multiplicity 6)
2 Sc 0.0000 0.0000 0.2934 (multiplicity 6)
3 Bi 0.0000 0.0000 0.3846 (multiplicity 6)
4 Sb 0.0000 0.0000 0.2048 (multiplicity 6)

Output
Uncorrected formation energy in eV/f.u.: -2.0
M_tot in μB per formula unit: 0.252
Calculated total energy in eV per atom: -5.928
ρ in g cm⁻³: 7.6
Crystal system: trigonal


! KLaMg2 (GGA-PBE, relaxed); values from VASP
&SYSTEM
  ibrav = 0, nat = 4, ntyp = 3
/
ATOMIC_SPECIES
K 39.10 K.upf
La 138.91 La.upf
Mg 24.30 Mg.upf
CELL_PARAMETERS angstrom
0.0000 4.1035 4.1035
4.1035 0.0000 4.1035
4.1035 4.1035 0.0000
ATOMIC_POSITIONS angstrom
K 0.0000 0.0000 0.0000
La 4.1035 4.1035 4.1035
Mg 2.0517 2.0517 2.0517
Mg 6.1552 6.1552 6.1552
! E above lowest polymorph   0.45 eV per formula unit
! Magnetization   0.0 μB/cell
! Energy of formation   0.22 eV per atom
! DOS at the Fermi energy   1.78 states/eV/f.u.
! E   -8.35 eV per formula unit


! K2LaMg (GGA-PBE, relaxed); values from VASP
&SYSTEM
  ibrav = 0, nat = 4, ntyp = 3
/
ATOMIC_SPECIES
K 39.10 K.upf
La 138.91 La.upf
Mg 24.30 Mg.upf
CELL_PARAMETERS angstrom
-1.8696 2.8041 9.7996
1.8696 -2.8041 9.7996
1.8696 2.8041 -9.7996
ATOMIC_POSITIONS angstrom
K 0.0000 0.0000 3.2674
K 0.0000 0.0000 16.3318
La 0.0000 2.8041 0.0000
Mg 1.8696 0.0000 0.0000
! Magnetization   0.0 μB/cell
! Energy of formation   0.27 eV per atom
! DOS at the Fermi energy   3.19 states/eV/f.u.
! E   -7.64 eV per formula unit


! KLa3Mg (GGA-PBE, relaxed); values from VASP
&SYSTEM
  ibrav = 0, nat = 5, ntyp = 3
/
ATOMIC_SPECIES
K 39.10 K.upf
La 138.91 La.upf
Mg 24.30 Mg.upf
CELL_PARAMETERS angstrom
5.7409 0.0000 0.0000
0.0000 5.7409 0.0000
0.0000 0.0000 5.7409
ATOMIC_POSITIONS angstrom
K 0.0000 0.0000 0.0000
La 0.0000 0.0000 2.8704
La 0.0000 2.8704 0.0000
La 2.8704 0.0000 0.0000
Mg 2.8704 2.8704 2.8704
! E above lowest polymorph   2.24 eV per formula unit
! Magnetization   0.0 μB/cell
! Energy of formation   0.99 eV per atom
! DOS at the Fermi energy   10.17 states/eV/f.u.
! E   -12.52 eV per formula unit


! KLaMg2Ni (GGA-PBE, relaxed); values from VASP
&SYSTEM
  ibrav = 0, nat = 5, ntyp = 4
/
ATOMIC_SPECIES
K 39.10 K.upf
La 138.91 La.upf
Mg 24.30 Mg.upf
Ni 58.69 Ni.upf
CELL_PARAMETERS angstrom
5.3256 0.0000 0.0000
0.0000 5.3256 0.0000
0.0000 0.0000 5.1310
ATOMIC_POSITIONS angstrom
K 0.0000 0.0000 0.0000
La 2.6628 2.6628 0.0000
Mg 0.0000 2.6628 2.5655
Mg 2.6628 0.0000 2.5655
Ni 2.6628 2.6628 2.5655
! Magnetization   0.0 μB/cell
! Energy of formation   -0.02 eV per atom
! DOS at the Fermi energy   3.33 states/eV/f.u.
! E   -15.11 eV per formula unit
└──

  1. 1 Pay attention to symptoms. If a person has been diagnosed with bipolar disorder, then you may already know the symptoms of the disease. Bipolar disorder has periods of mania and depression. During manic phases, a person has an unlimited supply of strength, while during periods of depression, the same person may not get out of bed all day.
    • In manic phases, there is a high degree of optimism OR irritability, unrealistic ideas about one's own capabilities, a feeling of extraordinary vigor after a short sleep, fast speech and transitions to different ideas, inability to concentrate, as well as impulsive or erroneous decisions and even hallucinations.
    • In depressive phases, despair, despondency, emptiness, irritability, loss of interest in business, fatigue, lack of concentration, changes in appetite, weight changes, problems with sleep, feelings of uselessness or guilt, and even thoughts of suicide are noted.
  2. 2 Different types of bipolar disorder. There are four types of bipolar disorder. Such definitions help clinicians identify the type of disorder based on symptoms. There are usually four types:
    • Bipolar I Disorder... With this type, manic episodes with a total duration of up to seven days or such a degree of severity are characteristic that a person needs hospitalization. This is followed by depressive episodes lasting at least two weeks.
    • Bipolar II Disorder... With this form, after depressive episodes, there are moderate manic phases that do not require hospitalization.
    • Undefined bipolar disorder (NOS)... In this form, the person suffers from symptoms of bipolar disorder, but they do not meet the criteria for the first or second type.
    • Cyclothymia... With this form, mild symptoms of bipolar disorder appear within two years.
  3. 3 Express concern. If you think the person has bipolar disorder, then don't be silent. Try to start a conversation, but be careful not to express concern or concern without being judgmental. It should be remembered that bipolar disorder is a disease and the person is unable to control their behavior.
    • Say something like this: “I am very worried about you and noticed that you have been having a difficult time lately. Just know that I am there and always ready to help ”.
  4. 4 Show a willingness to listen. Sometimes, a person with bipolar disorder can be comforted by the opportunity to share their feelings. Show that you are happy to listen to their concerns and concerns.
    • Listen, but do not judge the person or try to solve their problems. Just listen and encourage your friend. For example, say the following: “You seem to be having a very difficult time right now. I have no idea how you feel, but I am very worried and want to help. "
  5. 5 Make an appointment with your doctor. The person may not be able to make an appointment with a doctor on their own because of bipolar disorder, so ask them to make an appointment with a specialist.
    • If a person is not ready to seek help from a doctor, then there is no need to force him. On the contrary, offer to undergo a general examination and see if he dares to ask the specialist questions about his symptoms.
  6. 6 Encourage the person to take the prescribed medication. If a doctor has prescribed medications to help control symptoms of bipolar disorder, make sure that the person is taking such medications.It is not uncommon for people with bipolar disorder to stop taking the drug as soon as they feel better or when they want to return to their manic phase.
    • Remind them of the need to take medication and that the symptoms will worsen without them.
  7. 7 Be patient. Although the condition may improve after a few months of treatment, full recovery may take years. Breakdowns are also possible, so be very patient.
  8. 8 Take time for yourself. Supporting someone with bipolar disorder can be extremely challenging, so try to make time for yourself. Look every day for an opportunity to be at a distance from the person with the disorder.
    • For example, go to the gym, take a friend over for coffee, or read a book. You can also seek help from a counselor psychologist to help you deal with stress and emotional pressure.

Method 2 of 3: Coping with Mania

  1. 1 Try to be calm. During manic episodes, a person with bipolar disorder may become very aroused and irritated after prolonged conversations or certain topics. Try to talk to him in a peaceful way, and do not get into an argument or lengthy discussion.
    • Avoid bringing up topics that can trigger mania. For example, it is best not to ask him tense questions or not to ask about the goals he is striving for. Instead, it's better to talk about the weather, a TV series, or some other light topic.
  2. 2 Encourage your friend to take regular rest. During the manic phase, a person may feel that only a few hours of sleep is enough to rest. At the same time, lack of rest can only aggravate the situation.
    • Encourage your friend to get as much sleep at night as possible, and also to take a nap during the day.
  3. 3 Go for walks. Hiking can be a great way to use up excess energy during manic episodes, as well as an opportunity to talk in private. Start inviting your friend for a walk every day or several times a week.
    • Regular exercise can also help manage symptoms of depression, so suggest walking whenever the person is in the mood.
  4. 4 Notice impulsive behavior. During manic episodes, a person may be prone to impulsive acts such as using drugs, buying unnecessary items, or taking long trips. Encourage your friend to think better about big purchases or new hobbies during her manic episodes.
    • If overspending occurs regularly, suggest leaving your credit card and any excess money at home.
    • If the situation is aggravated by alcohol or drugs, persuade a friend to stop taking such substances.
  5. 5 Do not take comments personally. During the manic phase, the person may say hurtful things or have fights. Do not take such remarks personally and get away from the argument.
    • Remember that such words are provoked by illness and do not reflect the person's true feelings.

Method 3 of 3: Coping with Depression

  1. 1 Offer to move towards a small goal. In moments of depression, it is difficult for a person to cope with a global task, so it is sometimes helpful to set achievable goals. Even modest success can improve the well-being of bipolar disorder.
    • For example, if a friend complains that she needs to clean up the whole house, then suggest that she start with a small space like a pantry or bathroom.
  2. 2 Suggest positive methods for dealing with depression. A depressed person can often give preference to negative coping options such as alcohol, refusal of drugs, isolation. Try to offer positive solutions to problems.
    • For example, suggest calling a therapist, doing a warm-up, or doing something you love.
  3. 3 Be genuinely supportive. Support and encouragement in times of depression shows that you are worried about the person.Don't make false promises or rely on clichés to inspire a friend.
    • For example, you shouldn't say phrases like “Everything will be all right”, “The problem is only in your head” or “Turn your troubles into victories!”.
    • Instead, say “I'm worried about you,” “I'm there and ready to help,” “You are a good person and I’m glad that we know each other.”
  4. 4 Create a routine. During depression, a person with bipolar disorder often chooses to stay in bed, avoid society, or just watch movies all day. At such a moment, it is important to help him create a daily routine so that there are always things to do.
    • For example, work together to schedule times to get up and shower, pick up the newspapers, go for a walk, and do something fun like reading a book or playing a game.
  5. 5 Notice suicidal tendencies. In times of depression, people are more likely to have suicidal thoughts. Take all such words and comments seriously.
    • If the person is suicidal or says they want to commit suicide or harm others, call an ambulance immediately. Don't try to fix the problem yourself.


  • Never try to resolve a situation with threats of suicide or violence on your own! Call emergency medical services immediately.
  • Don't ignore the person's behavior and don't say, "It's all in your head." Bipolar disorder is a condition in which a person is unable to control their feelings.